AY 2016-2017 Members: Michael Bailey, Can Bayram, Mohamed Ali Belabbas, Subhonmesh Bose, Weng Chew, John Dallesasse, Peter Dragic, James Eden, Liang Gao, Bruce Hajek, Pavan Kumar Hanumolu, Kiruba Haran, Mark Hasegawa-Johnson, Yih-Chun Hu, Seth Hutchinson, Raluca Ilie, Ravishankar Iyer, Erhan Kudeki Kudeki (Ex-Officio), Minjoo Lee, Stephen Levinson, Steven Lumetta, Jonathan Makela (Chair), Sanjay Patel, Maxim Raginsky, William Sanders (Ex-Officio), Christopher Schmitz, Jose Schutt-Aine, David Varodayan, Lara Waldrop, Jin Zhao, Zhizhen Zhao, Hao Zhu, Wenjuan Zhu
Between two parts of the page: crystal structures.
........
<P>
Entry from the Alexandria database: a geometry-optimized YMg6NbO8 structure (PBE).

Properties
SG: P4/mmm (123)
Theoretical density in g/cm³: 4.23
Calculated volume in Å³ per cell: 179.0

a b c (Å): 4.444 4.444 9.064
angles (deg): 90.00 90.00 90.00
Fractional coordinates of all 16 atoms:
Y (0.000, 0.000, 0.000)
Mg (0.500, 0.500, 0.000)
Mg (0.500, 0.500, 0.500)
Mg (0.000, 0.500, 0.264)
Mg (0.000, 0.500, 0.736)
Mg (0.500, 0.000, 0.264)
Mg (0.500, 0.000, 0.736)
Nb (0.000, 0.000, 0.500)
O (0.000, 0.000, 0.247)
O (0.000, 0.000, 0.753)
O (0.500, 0.500, 0.253)
O (0.500, 0.500, 0.747)
O (0.000, 0.500, 0.000)
O (0.000, 0.500, 0.500)
O (0.500, 0.000, 0.000)
O (0.500, 0.000, 0.500)

=====

<Q>
Entry from the Alexandria database: a geometry-optimized YMg6NbO8 structure (PBE).

Properties
SG: P4/mmm (123)
Theoretical density in g/cm³: 4.35
Calculated volume in Å³ per cell: 174.0

a b c (Å): 4.419 4.419 8.913
angles (deg): 90.00 90.00 90.00
Each line ends with the local moment (μB).
Fractional coordinates of all 16 atoms:
Y (0.000, 0.000, 0.000)  0.01
Mg (0.000, 0.000, 0.500)  0.00
Mg (0.500, 0.500, 0.500)  0.00
Mg (0.000, 0.500, 0.264)  0.00
Mg (0.000, 0.500, 0.736)  0.00
Mg (0.500, 0.000, 0.264)  0.00
Mg (0.500, 0.000, 0.736)  0.00
Nb (0.500, 0.500, 0.000)  0.21
O (0.000, 0.000, 0.265)  0.00
O (0.000, 0.000, 0.735)  0.00
O (0.500, 0.500, 0.267)  0.00
O (0.500, 0.500, 0.733)  0.00
O (0.000, 0.500, 0.000)  0.01
O (0.000, 0.500, 0.500)  0.00
O (0.500, 0.000, 0.000)  0.01
O (0.500, 0.000, 0.500)  0.00

=====

Tell me which of them is the least stable. Sure, it is <P>.

=====

<P>
Entry from the Alexandria database: a geometry-optimized Mg3NbOs structure (PBE).

Properties
SG: Pm-3m (221)
Theoretical density in g/cm³: 5.26
Calculated volume in Å³ per cell: 112.4

a b c (Å): 4.826 4.826 4.826
angles (deg): 90.00 90.00 90.00
Fractional coordinates of all 5 atoms:
Nb (0.500, 0.500, 0.500)
Os (0.000, 0.000, 0.000)
Mg (0.000, 0.500, 0.000)
Mg (0.000, 0.000, 0.500)
Mg (0.500, 0.000, 0.000)

=====

<Q>
Entry from the Alexandria database: a geometry-optimized Mg3NbOs structure (PBE).

Properties
SG: Pm-3m (221)
Theoretical density in g/cm³: 4.46
Calculated volume in Å³ per cell: 132.4

a b c (Å): 5.097 5.097 5.097
angles (deg): 90.00 90.00 90.00
Each line ends with the local moment (μB).
Fractional coordinates of all 5 atoms:
Nb (0.000, 0.000, 0.000)  -2.03
Os (0.500, 0.500, 0.500)  2.27
Mg (0.000, 0.500, 0.000)  -0.04
Mg (0.000, 0.000, 0.500)  -0.01
Mg (0.500, 0.000, 0.000)  -0.06

=====

Tell me which of them is the least stable. Sure, it is <Q>.

=====

<P>
Entry from the Alexandria database: a geometry-optimized MgNbOs structure (PBE).

Properties
SG: I4mm (107)
Theoretical density in g/cm³: 9.82
Calculated volume in Å³ per cell: 52.0

a b c (Å): 3.221 3.221 5.503
angles (deg): 107.02 107.02 90.00
Each line ends with the local moment (μB).
Fractional coordinates of all 3 atoms:
Nb (0.312, 0.312, 0.624)  0.26
Os (0.678, 0.678, 0.357)  0.02
........
Discussion Items
Time | Item | Who |
5min | Approve |
_Inserted here: materials data_
Record 1
A geometry-optimized Te2POs structure, computed with PBEsol.

POSCAR file:
```
Te2POs
1.0
-2.601 -1.707 0.561
-1.625 -1.244 -2.410
3.804 -8.760 -0.116
P Te Os
1 2 1
direct
0.500 0.500 0.500
0.910 0.910 0.269
0.090 0.090 0.731
0.000 0.000 0.000
```

Its uncorrected formation energy is 1.05 eV/atom. The space group is R-3m.

=====

Record 2
A geometry-optimized Li2Co2Sb structure, computed with PBEsol.

POSCAR file:
```
Li2Co2Sb
1.0
4.153 0.000 0.000
0.000 6.040 0.000
0.000 0.000 6.040
Sb Co Li
2 4 4
direct
0.000 0.000 0.000
0.000 0.500 0.500
0.000 0.373 0.873
0.000 0.873 0.627
0.000 0.627 0.127
0.000 0.127 0.373
0.500 0.165 0.665
0.500 0.665 0.835
0.500 0.835 0.335
0.500 0.335 0.165
```

Its uncorrected formation energy is 0.09 eV/atom. The space group is P4/mbm.

=====

Record 3
A geometry-optimized AlAgCl2 structure, computed with PBEsol.

POSCAR file:
```
AlAgCl2
1.0
-2.173 -2.136 2.240
2.845 -0.302 2.473
-1.873 4.777 2.738
Al Ag Cl
1 1 2
direct
0.500 0.500 0.838
0.000 0.000 0.463
0.000 0.000 0.927
0.500 0.500 0.272
```

Its uncorrected formation energy is -0.28 eV/atom. The space group is P4mm.

=====

Record 4
A geometry-optimized Re2SiPt structure, computed with PBEsol.

POSCAR file:
```
Re2SiPt
1.0
-3.390 1.509 -0.374
-1.437 -2.699 2.135
0.650 2.284 3.325
Pt Re Si
1 2 1
direct
0.000 0.000 0.500
0.000 0.500 0.000
0.500 0.000 0.000
0.500 0.500 0.500
```

Its uncorrected formation energy is 0.14 eV/atom. The space group is P4/mmm.

=====

Record 5
A geometry-optimized Sr3Ca3Ru4O14 structure, computed with PBEsol.

POSCAR file:
```
Sr3Ca3Ru4O14
1.0
5.500 0.001 -0.005
-0.003 5.491 -0.002
-0.060 -2.741 9.886
Sr Ca Ru O
3 3 4 14
direct
0.273 0.258 0.001
0.770 0.744 0.998
0.215 0.068 0.623
0.199 0.450 0.374
0.699 0.921 0.374
0.698 0.548 0.624
0.739 0.149 0.801
0.741 0.350 0.201
0.241 0.850 0.198
0.238 0.652 0.800
0.264 0.881 0.391
_The article goes on_
minutes |
from March 6, 2016 | Makela | |
10min | Discuss/vote on:
| All |
15min | ABET | All |
15min | Subdisciplines | All |
- The meeting was called to order at 3:05pm.
- The committee discussed revisions to the proposed ECE 498: Applied Cryptography course.
- The requested changes had been made to the proposal.
- It was pointed out that the requested time slot (MW @ 1.5 hours) is not a standard request. This needs to be changed to either a MWF @ 1 hour course, or a TR @ 1.5 hour course.
- The committee approved the proposed course, with the understanding that the time change would be made.
- The committee discussed revisions to the proposed ECE 298JA: Concepts in Engineering Math course.
- The committee discussed the course only as a ECE 298 course, not as a permanent offering. Kudeki pointed out that the course was primarily useful to transfer students looking for a technical course while coming up to speed in the ECE core.
- For further consideration as a permanent course, the committee would like more information about this conversation, or to have a representative from MATH join the committee for the discussion. Makela pointed out that Allen was in conversation with MATH faculty to discuss the course and how it fits/complements/overlaps with existing courses.
Attached: data records:
/*
Record 1
VASP calculation (PBE) on a relaxed LiHgMo2 crystal.

Mass density, g/cm³: 9.9
Final energy, eV/atom: -5.581
Symmetry: P4mm, No. 99
Density of states at the Fermi level, states/eV/cell: 2.193

a = 2.7165 Å, b = 2.7165 Å, c = 9.1174 Å
α = 90.00°, β = 90.00°, γ = 90.00°
Sites, in units of the cell vectors:
1 Hg 0.0000 0.0000 0.5106
2 Li 0.5000 0.5000 0.7467
3 Mo 0.0000 0.0000 0.9965
4 Mo 0.5000 0.5000 0.2462

=====

Record 2
VASP calculation (PBE) on a relaxed HoZn3Ag9 crystal.

Mass density, g/cm³: 9.4
Final energy, eV/atom: -2.721
Symmetry: C2/m, No. 12
Density of states at the Fermi level, states/eV/cell: 4.860

a = 5.3039 Å, b = 7.0812 Å, c = 7.1669 Å
α = 83.00°, β = 68.28°, γ = 70.78°
Sites, in units of the cell vectors:
1 Ho 0.0000 0.0000 0.0000
2 Zn 0.5000 0.5000 0.0000
3 Zn 0.0000 0.0000 0.5000
4 Zn 0.5000 0.0000 0.5000
5 Ag 0.6987 0.7886 0.7844
6 Ag 0.3013 0.2114 0.2156
7 Ag 0.5169 0.2114 0.7844
8 Ag 0.4831 0.7886 0.2156
9 Ag 0.6672 0.3416 0.3553
10 Ag 0.3328 0.6584 0.6447
11 Ag 0.9775 0.6584 0.3553
12 Ag 0.0225 0.3416 0.6447
13 Ag 0.0000 0.5000 0.0000

=====

Record 3
VASP calculation (PBE) on a relaxed AcAlRuN crystal.

Mass density, g/cm³: 8.3
Final energy, eV/atom: -7.093
Symmetry: P4/nmm, No. 129
Density of states at the Fermi level, states/eV/cell: 5.729
Formation energy from raw total energies, eV/atom: -0.730

a = 4.0533 Å, b = 4.0533 Å, c = 8.9717 Å
α = 90.00°, β = 90.00°, γ = 90.00°
Sites, in units of the cell vectors:
1 Ac 0.0000 0.5000 0.8443
2 Ac 0.5000 0.0000 0.1557
3 Al 0.0000 0.5000 0.3382
4 Al 0.5000 0.0000 0.6618
5 Ru 0.0000 0.0000 0.5000
6 Ru 0.5000 0.5000 0.5000
7 N 0.5000 0.0000 0.8718
8 N 0.0000 0.5000 0.1282

=====

Record 4
VASP calculation (PBE) on a relaxed GaTe3Br crystal.

Mass density, g/cm³: 5.2
Final energy, eV/atom: -3.027
Symmetry: Pmn2_1, No. 31
Formation energy from raw total energies, eV/atom: -0.202

a = 5.6252 Å, b = 7.7961 Å, c = 7.7259 Å
α = 89.97°, β = 90.00°, γ = 90.01°
Sites, in units of the cell vectors:
1 Ga 0.1792 0.6711 0.7009
2 Ga 0.6792 0.6817 0.2009
3 Te 0.3035 0.4204 0.2009
4 Te 0.4415 0.8898 0.9456
5 Te 0.9414 0.4629 0.4459
6 Te 0.8036 0.9323 0.7006
7 Te 0.9414 0.4629 0.9559
8 Te 0.4414 0.8899 0.4556
9 Br 0.5124 0.4380 0.7009
10 Br 0.0125 0.9147 0.2006

=====

Record 5
VASP calculation (PBE) on a relaxed PmErSiRu crystal.

Mass density, g/cm³: 8.6
Final energy, eV/atom: -6.356
Symmetry: F-43m, No. 216
Density of states at the Fermi level, states/eV/cell: 2.432
Formation energy from raw total energies, eV/atom: -0.353

a = 4.9391 Å, b = 4.9391 Å, c = 4.9391 Å
α = 60.00°, β = 60.00°, γ = 60.00°
Sites, in units of the cell vectors:
1 Ru 0.2500 0.2500 0.2500
2 Si 0.7500 0.7500 0.7500
3 Pm 0.0000 0.0000 0.0000
4 Er 0.5000 0.5000 0.5000

=====

Record 6
VASP calculation (PBE) on a relaxed NaGaCuSe3 crystal.

Mass density, g/cm³: 4.3
Final energy, eV/atom: -3.634
Symmetry: P2_1/m, No. 11
Density of states at the Fermi level, states/eV/cell: 8.978
*/
- Again, for future consideration as a permanent course, the committee would like to see examples of exams and homeworks to better evaluate the technical nature of the course.
- Finally, for future consideration as a permanent course, the committee thinks that a condition should be made on whether this course counts as technical electives. Something like it counting for students with sophomore or below standing. There was strong feeling that a senior should not be able to take this and still receive ECE technical elective credit.
- The committee approved the proposed course. The committee approved the course as a technical elective. The course will not consider the course as a 298 course again, unless a permanent course request is pending.
- Makela updated the committee on the progress of collecting mid-cycle ABET course self evaluations. A new batch of self evaluations has come in, totaling 38. Kudeki will send out a new request to get a higher response rate.
- The committee broadly discussed the ongoing effort to update the sub-disciplines on the ECE curriculum website.
- The meeting was adjourned at 3:54pm.